Why Does My Dog Eat Grass? What Does It Mean?
• Quantum chemistry results from another source follow:
~~~
A.
{
  "formula": "C2H2N2OS2",
  "method": "ωB97M-V with the def2-TZVPD basis set",
  "species": ["C", "C", "N", "N", "O", "S", "S", "H", "H"],
  "coordinates": [[-0.761, -0.628, -0.083], [-1.268, 0.562, -0.560], [1.391, 0.452, -0.072], [0.538, -0.676, 0.388], [-2.250, 0.995, -1.028], [1.158, -1.788, 1.299], [0.345, 1.739, -0.679], [-1.324, -1.493, 0.242], [2.171, 0.839, 0.493]],
  "multiplicity": 1,
  "orbital_gap_ev": [7.26, 7.26],
  "charge": 0,
  "homo_ev": [-8.84, -8.85]
}

B.
{
  "formula": "C2H2N2OS2",
  "method": "ωB97M-V with the def2-TZVPD basis set",
  "species": ["C", "C", "N", "N", "O", "S", "S", "H", "H"],
  "coordinates": [[1.597, 0.912, 0.149], [3.111, -1.084, -0.479], [0.304, 0.808, 0.242], [-0.444, -0.088, 0.820], [3.445, -0.496, -1.427], [2.735, 1.951, 0.338], [2.730, -1.770, 0.855], [-0.346, 1.402, -0.431], [-1.348, -0.080, 0.345]],
  "multiplicity": 1,
  "orbital_gap_ev": [7.27, 6.54],
  "charge": 0,
  "homo_ev": [-8.15, -7.62]
}

C.
{
  "formula": "C2H2N2OS2",
  "method": "ωB97M-V with the def2-TZVPD basis set",
  "species": ["C", "C", "N", "N", "O", "S", "S", "H", "H"],
  "coordinates": [[-0.141, 0.867, -0.293], [-0.503, 0.881, 1.071], [0.357, -1.261, 0.115], [0.304, -0.281, -0.774], [-0.964, 1.715, 1.792], [0.551, -0.651, -2.505], [-0.120, -0.840, 1.677], [-0.257, 1.717, -0.939], [0.773, -2.146, -0.143]],
  "multiplicity": 1,
  "orbital_gap_ev": [7.70, 7.70],
  "charge": 0,
  "homo_ev": [-8.76, -8.76]
}

D.
{
  "formula": "C2H2N2OS2",
  "method": "ωB97M-V with the def2-TZVPD basis set",
  "species": ["S", "C", "N", "C", "S", "O", "N", "H", "H"],
  "coordinates": [[2.828, -0.618, 0.012], [1.264, -0.184, -0.062], [0.114, -0.964, -0.092], [-0.872, -0.139, -0.024], [-2.569, -0.492, 0.000], [-0.556, 1.172, 0.005], [0.836, 1.142, -0.159], [-2.353, -1.801, -0.070], [1.308, 1.885, 0.390]],
  "multiplicity": 1,
  "orbital_gap_ev": 8.84,
  "charge": 0,
  "smiles": "S=c1nc(S)o[nH]1",
  "homo_ev": -8.79
}

Best to worst by energy: D, C, A, B.

A.
{
  "formula": "C2H8ClN2O2",
  "method": "ωB97M-V with the def2-TZVPD basis set",
  "species": ["C", "C", "N", "N", "O", "O", "Cl", "H", "H", "H", "H", "H", "H", "H", "H"],
  "coordinates": [[0.533, 0.490, 0.368], [-0.213, -0.370, -0.654], [0.265, -1.315, -1.565], [-0.529, 0.748, 1.347], [-1.318, 0.238, -1.093], [-0.881, -1.582, 0.616], [-0.424, -3.167, 0.722], [1.417, 0.075, 0.842], [0.842, 1.480, -0.165], [-0.300, -2.190, -1.775], [1.217, -1.668, -1.413], [-1.330, 0.987, 0.807], [-0.293, 1.357, 2.132], [-0.580, -0.284, 1.543], [-1.790, -0.395, -1.558]],
  "multiplicity": 1,
  "orbital_gap_ev": 9.88,
  "charge": 1,
  "homo_ev": -13.69
}

B.
{
  "formula": "C2H8ClN2O2",
  "method": "ωB97M-V with the def2-TZVPD basis set",
  "species": ["C", "C", "N", "N", "O", "O", "Cl", "H", "H", "H", "H", "H", "H", "H", "H"],
~~~
• Here the page continues:
Why do dogs eat grass?
What does it mean? Is it healthy? Should you be worried
How much is too much?
These are only a few of the questions that often concern many dog owners.
The purpose of this post is to help you understand this behavior so you can decide whether or not you should be worried.

Why Does My Dog Eat Grass?
You might feel weird for even asking this question. Your dog is not a herbivore, so why is he or she eating grass? I struggled with the same question when I first got my dog, because it was like raising a baby. Everything he did made me wonder what was happening in his head.
Even though you may be worried as a dog owner, the main thing to understand is eating grass is very common among dogs. Actually, dogs tend to eat and chew on a lot of things that do not classify as edible. It may be for playful reasons, especially among puppies. There even is a name for it: pica.
Usually, when dogs eat grass, they do it because they have stomach issues. What follows after eating a significant amount of grass is vomiting. It is actually one of the main reasons why dogs eat grass. That is perfectly normal because similar to every living being, dogs get sick too from time to time. So, if your dog is vomiting from eating grass for 1-2 times a year, there is no reason for you to worry. It is a common behavior among dogs to eat grass in attempt to clear their digestive system.
Nevertheless, there are a few specific instances why your dog’s grass-eating behaviour should have you worried, especially when grass eating and vomiting happens on a regular basis. Such symptoms indicate that there are health-related reasons why your dog is vomiting so often. At that point, it is always best to visit a veterinarian to get the correct diagnoses.
If you are still in doubt, there are several other explanations to this behavior. The following three explanations elaborate some of the most common reasons why dogs eat grass. This will allow you to have insight on whether you should let it be or take precautions.
Reason #1 – They want to find new entertaining activities.

Really though, they may just be bored! Dogs as creatures are very playful and energetic. Most of the time, especially if you are a busy owner, you cannot dedicate all your full-time attention to your pet. Therefore, they try to find alternative ways to fill up their time, and they will do it by interacting with their surroundings. This may include eating grass. You can always start to track how much exercise your dog is getting so that you can get an idea of what could be changed.
What can you do about it?
One way to solve this is to include more physical activity in your dog’s routine. This can be either through including more play time or taking them to longer walks. On average, depending on size and age, dogs should spend up to 2 hours per day on being physically active. Therefore, exercise is essential for their overall health and growth.
Can’t incorporate such a long time into your day for dog walking? No worries! If you fall into the category of the busier owners, there are professional dog walkers, who will give your pet all the needed play-time. With their help, your dog will be in safe hands and in great health condition.
Reason #2 – Stomach issues.
This is the most widespread belief and probably the one that worries you most. Nevertheless, before reaching any final conclusions, keep in mind that it might not even be that serious. As it was mentioned before, it is normal for dogs to vomit 1 to 2 times a year, just like for humans! It is believed that dogs turn to grass as a self-medication technique.
However, you must understand that grass-eating does not necessarily correlate with vomiting. Actually, it is quite rare! Only around a quarter of dogs vomit from the grass they eat. This means that in the majority of the cases, grass eating does not have any effect in the dogs digestive system. So do not expect that your dog will vomit automatically after eating grass.
If eventually vomiting happens and, you notice that it happens frequently, then the dog may have a more serious disease. Two of the most common ones could be gastric reflux or inflammatory bowel disease.
Gastric Reflux is a disease that can be potentially dangerous for your pet, if not treated in time. One of the causes may be unknown (usually inedible) objects that go into a dog’s stomach. Therefore, it is essential for you to monitor what your dog eats.
If you suspect that this is what is happening, make sure to check out for symptoms like bad breath, burping, occasional vomiting or too much salivation.
Inflammatory bowel disease is another disease that causes discomfort to your dog. It is usually manifested with vomiting and diarrhea. This disease affects most organs and makes the dog’s immunity weaker. Some of the most common causes are traveling and recent vaccination but, there may be other causes as well. The symptoms you should look out for are loss of appetite, diarrhea and weight loss. If you notice that your dog is expressing similar behavior to the above-mentioned symptoms, you must consider taking action immediately.
What can you do about it?
Usually, you can notice if something is wrong with your dog before it starts eating grass. If you see that he or she is desperately trying to swallow grass and is showing signs of frustration, something could be wrong. When it comes to health issues, it is always best to consult a veterinarian. If there is some underlying issue that is bothering the dog, it is always best to take care of it with proper treatment and medication.
Reason #3: Nutritional needs
Sometimes, your dog might turn to eating grass when it is lacking nutrients, especially fiber. If your dog is not showing symptoms of a disease as mentioned above, the issue might be the food it consumes. Another reason could be the taste of grass which for some dogs may be interesting and simply tasty.
What can you do about it?
If you think you are facing this issue, consider altering his or her diet. If you feed your dog with homemade food, also consider talking to a nutritionist to make sure that you are providing him/her with enough of the right nutrients. A high fiber diet may be your solution if you notice that it weakens your dog’s tendency to eat grass.
Key Takeaways

Overall, grass-eating should not be a concern for you as an owner unless it is followed by other symptoms as well. These symptoms include irregular behavior and the urge to consume a large amount of grass.
As such, there will be no need to take precautions. However, if that is something that truly bothers you, make sure to apply the suggested tips in the “What can you do about it?” section. After all, you know your dog better than anyone else. If you sense that there is something wrong with it, there probably is. Consider whether grass-eating happens too often. Also, consider the amount. After you have determined that, you will know if your dog has shown unlikely behavior and whether you should do something about it.
If that is a regular behavior for your dog, it is most likely nothing you should worry about. You simply have to make sure that the grass he or she is consuming is not sprayed with pesticides or any other poisonous substances. If you do that, you should be fine.
About the Author:
Rilind Elezaj is a pet lover from Prishtina, Kosovo. He has a passion for sharing things that can help people and animals live better lives.